Hi everyone. I just joined this group and I'm not sure how it all works.
I'm here to find help with codependency with my teen. He is a tough kid to raise and today I'm frazzled. I work the 12 steps for another issue, but I really need help disentangling myself from my son's life. I've been raising him pretty much on my own and it is so hard to watch him live his life and take consequences. I have got to stop trying to fix his messes for him. I have a lot of fear about what his future will be and how it will affect me.
Anyhow I'm glad to be here and I so need to be here.
birdona wire
welcome and oh those kids they break our hearts from the minute they are born to the minute we close our eyes in the end
having said that its too easy to fall into the trap of lettin ourselves fix all the problems and shielding them from responsibility when if we let them fall they learn to pick them selves up.
he will survive the same way u survived it might not be pretty but it will be a way for him to grow into his maturity and function as an adult who knows the consequences of life, we all want our child to have better than we did but if we dont equip them with the basics we are the worst enemy they will ever have, its not up to us to provide continuously and grant every wish as that is unrealistic and does them nothing in the future
so what do u need help with exactly
i will try to help
as always loving thoughts and positive vibes
D :)
Hi domestic and Thanks for the good thoughts and vibes. That’s what I need. Someone to remind me that allowing him to make mistakes is the right thing to do for him and me. I want to demonstrate confidence that he can learn from those mistakes and that all will be ok. I’m just so tired and concerned about his future.
Last night was a tough one. After letting him manage his homework this semester several of his grades are really low and he may not pass the classes. That means he may not be able to graduate with his friends next year. This realization made him angry and depressed and he was determined not to do any homework to catch up. He is a really intense kid and learned to be verbally abusive from my exhusband. I had to stand my ground, enforce boundaries, explain consequences, and then help him calm down so he could sleep and go back to school today. Recovery from codependency and parenting are difficult for me manage. It seems some attributes of good parenting are getting into someone elses business. I find that puzzling and frustrating. I’m just doing the best I can to walk that thin line between guiding him and stepping in to take over his life.
Anyhow, that’s where I’m at and I’m glad to be here. Looking forward to hearing your story too.
i have a long family all made up of others leftovers all my lot are adopted or long term fostered so yes i know what u mean when u say its a fine line u walk to seperate being a mom and allowing them to suffer the consequences.
the hardest part about parenting is when they get to a certain age u have to stand back and watch the consequences happen (all mine are grown by the way and my yongest are just completeing university) young men tend to think they can flex the muscles and things happen, if its his grades have u had a word with school about it and had a meeting so u him and them are all clear on the consequences of his fallen grades, sometimes they need to hear it more than once for things to fall into place, my youngest lad has/had adhd aty school and was failing badly so he wouldnt be able to get into the forces, it took tough love and constant policing to get him to stay focused but he had to pull his weight in the partnership he got rewarded for keeping his grades up with little things like a game for his computer mayb not the one he wanted but one to add to the collection if he did something outstanding he might get the game of his choice he all so had to learn that his mouth wasnt going to intimidate me although he stands at six foot odd i could still stand on a table and look him in the eye if need be, i found that a calm front was needed and a definite cut of point when the conversation was going in circles as well as time for him to put his point across that all so took time for him to open up and talk rather than grunt or shout, so what is the biggest problem u face at the moment?
it does get better hon believe me ive been there and survived to tell the tale
as always loving thoughts and positive vibes
D :)
It’s good to hear that things get better. His bad grades and lack of goals are symptoms of some personal issues that he needs to deal with. Many of his issues stem from growing up watching my ex and me interact badly. Also depresssion runs in the family. So having a counselor should be helpful to him. Made the call yesterday to arrange a counselor to work with him on feeling better about himself and having hope for the future.
I can really relate to what you said about not letting his mouth intimidate me and keeping a calm front. That’s tought for me when I’m exhausted from a days work and dealing with him, but when I remember that I’m in charge around here things go way better.
Yesterday was a pretty good day, although the issues still exist now that I have a plan in place and have my attitude adjusted correctly–I feel more hopeful.
So here’s to enjoying the lull in the storm.
One of my favorite quotes is “Serenity isn’t freedom from the storm, but peace within it.” That seems to apply now.
Good vibes to you too!
when my boy was younger it use to be battern down the hatches
its all a question of how far u let guilt trip u up where they are concerned, i wont tell u the ammount of times he use to yell u arent my mother u cant tell me what to do, but i was the adult so yes im sorry but i can and will and u will respect the fact i clothe and feed u and care so lets get on and do
counsuling will allow him to explore his emotions and get out what he is feeling about things and yes after a day at work u dont want to suffer the carnage of them but sadly it has to be done, do u have sanctions in place? i always use to yank the music that soon brought him back into line although he now has a drum kit but as he dont live at home thats fine
it will allso help u to create a safe area when he is on one i use to pick up a book although i wasnt reading it meant we didnt have eye contact so he calmed down quicker as i didnt aggrivate the situation
keep going hon u will have a young man to be proud of one day soon
as always loving thoughts and positive vibes
**Records of crystals that have nothing to do with the text:**
┌──
A geometry-optimized MnTc2AgO8 structure, computed with PBE+U.

Cell lengths 5.8946, 5.8946, 6.4834 Å; angles 90.00, 90.00, 120.00 degrees
Space group P-3m1 (No. 164)
One atom of each set of equivalent atoms:
Mn 0.0000 0.0000 0.0000 x1
Tc 0.3333 0.6667 0.2852 x2
Ag 0.0000 0.0000 0.5000 x1
O 0.1670 0.3340 0.2039 x6
O 0.3333 0.6667 0.5523 x2

Results
For the total energy, the calculation gives -7.1439 eV per atom.

* * * * *

An optimized crystal structure of Sr2NdPuSe4. Source: the Alexandria database, functional PBE-GGA.

DOS at the Fermi energy = 14.0 states/eV/cell
Size of the total moment = 6.0 μB per formula unit
Uncorrected formation energy = -1.829 eV/atom

abc: 4.291 7.429 7.549
angles: 109.22 90.00 90.00
Each line ends with the local moment (μB).
Fractional positions:
Sr1 0.500 0.000 0.500  -0.01
Sr2 0.000 0.500 0.500  -0.02
Nd1 0.500 0.500 0.000  -0.07
Pu1 0.000 0.000 0.000  -5.50
Se1 0.500 0.243 0.237  0.04
Se2 0.500 0.757 0.763  0.04
Se3 0.000 0.252 0.761  0.01
Se4 0.000 0.748 0.239  0.01

* * * * *

(1)
A relaxed NiMoRh2 crystal, computed with PBE.

**Crystal system**: tetragonal
**Formation enthalpy at 0 K**: -0.13 kcal/mol of atoms
**Symmetry**: P4mm, No. 99
**ΔE to the lowest computed polymorph**: 0.2061 eV per atom
**Spin magnetization**: 0.8 μB per formula unit

Cell lengths 2.7207, 2.7207, 7.4781 Å; angles 90.00, 90.00, 90.00 degrees
Closest atoms and distances in Å follow each position.
Sites, in units of the cell vectors:
1 Ni 0.0000 0.0000 0.0000  4 Mo 2.61, 4 Rh 2.63, 4 Ni 2.72
2 Mo 0.5000 0.5000 0.7640  4 Ni 2.61, 4 Mo 2.72, 4 Rh 2.75
3 Rh 0.0000 0.0000 0.5008  8 Rh 2.72-2.74, 4 Mo 2.75
4 Rh 0.5000 0.5000 0.2390  4 Ni 2.63, 8 Rh 2.72-2.74

=====

(2)
A relaxed Ni5MoRh6 crystal, computed with PBE.

**Crystal system**: monoclinic
**Formation enthalpy at 0 K**: -0.46 kcal/mol of atoms
**Symmetry**: C2/m, No. 12
**ΔE to the lowest computed polymorph**: 0.0130 eV per atom
**Spin magnetization**: 0.0 μB per formula unit

Cell lengths 7.0090, 7.0090, 4.5125 Å; angles 92.47, 92.47, 45.02 degrees
Closest atoms and distances in Å follow each position.
Sites, in units of the cell vectors:
1 Ni 0.0000 0.0000 0.0000  8 Rh 2.61-2.62, 2 Mo 2.68, 2 Ni 2.69
2 Ni 0.1670 0.1670 0.6665  8 Rh 2.61-2.62, 4 Ni 2.68-2.71
3 Ni 0.3366 0.3366 0.3359  8 Rh 2.60-2.65, 1 Mo 2.66, 3 Ni 2.68-2.71
4 Ni 0.6634 0.6634 0.6641  8 Rh 2.60-2.65, 1 Mo 2.66, 3 Ni 2.68-2.71
5 Ni 0.8330 0.8330 0.3335  8 Rh 2.61-2.62, 4 Ni 2.68-2.71
6 Mo 0.5000 0.5000 0.0000  8 Rh 2.63-2.64, 4 Ni 2.66-2.68
7 Rh 0.0805 0.5845 0.8346  7 Ni 2.62-2.65, 1 Mo 2.63, 4 Rh 2.66-2.70
8 Rh 0.2447 0.7553 0.5000  6 Ni 2.60-2.61, 4 Rh 2.63-2.74, 2 Mo 2.64
9 Rh 0.4155 0.9195 0.1654  7 Ni 2.62-2.65, 1 Mo 2.63, 4 Rh 2.66-2.70
10 Rh 0.5845 0.0805 0.8346  7 Ni 2.62-2.65, 1 Mo 2.63, 4 Rh 2.66-2.70
11 Rh 0.7553 0.2447 0.5000  6 Ni 2.60-2.61, 4 Rh 2.63-2.74, 2 Mo 2.64
12 Rh 0.9195 0.4155 0.1654  7 Ni 2.62-2.65, 1 Mo 2.63, 4 Rh 2.66-2.70

=====

(3)
A relaxed Ni6MoRh crystal, computed with PBE.
└──
D :)